Pineal Gland – “Inner Stargate to Higher Dimensions”
Many have heard that the Pineal gland or what is commonly called the ‘3rd eye’ is what they refer to as the body’s inner stargate. While this is certainly a cool and intriguing idea, many don’t know for sure what that actually means in practical terms. The Pineal gland is the small, pine-cone shaped endocrine gland that is positioned in the center of the head (brain) just above the bridge of the nose and is positioned approximately in the middle between both our physical eyes in the lower region of the forehead. The physical location is important to know, because in order to consciously work with any area of the physical body and act to cooperatively guide natural processes, we have to place our attention there. When placing our attention in this region while relaxing and focusing “inward” we stimulate the pineal and enhance its natural activity to form inner visions. Attention, as a general rule, is a stimulating force of the mind. Whatever we place our attention on and begin thinking about, we activate a natural process of unfolding as an inner experience.
Misplaced records of molecules:
{"formula": "C33H91F6N6O14", "method": "the ωB97M-V functional and the def2-TZVPD basis", "homo_lumo_gap_ev": 6.336, "charge": -1, "relative_energy_kj_mol": 3323.9, "total_energy_ev": -89568.075, "lumo_energy_ev": 1.88, "e_homo_ev": -4.46, "elements": ["H", "O", "H", "H", "H", "H", "H", "H", "H", "H", "H", "H", "H", "H", "H", "H", "O", "H", "H", "N", "H", "H", "H", "O", "C", "C", "H", "C", "C", "H", "H", "H", "H", "O", "H", "C", "H", "N", "F", "C", "H", "H", "H", "H", "C", "H", "H", "C", "H", "H", "H", "H", "H", "H", "C", "H", "C", "C", "H", "H", "N", "H", "F", "F", "C", "C", "H", "H", "O", "N", "H", "H", "H", "C", "C", "H", "H", "C", "O", "H", "H", "H", "H", "H", "O", "H", "H", "H", "H", "C", "H", "C", "H", "C", "H", "N", "H", "C", "F", "H", "H", "C", "H", "C", "H", "C", "C", "C", "H", "H", "H", "H", "F", "C", "H", "C", "H", "N", "H", "H", "O", "O", "C", "F", "H", "H", "H", "H", "H", "O", "H", "C", "H", "H", "O", "C", "H", "H", "C", "O", "H", "H", "H", "H", "H", "C", "H", "C", "O", "O"], "positions_angstrom": [[0.43, 2.47, 4.11], [3.83, 1.27, 0.31], [-0.25, 0.51, -4.02], [-1.56, -4.74, -3.62], [-2.48, 1.96, -0.04], [-0.12, -0.35, 3.37], [-2.24, -2.38, -4.13], [3.62, -0.83, 0.11], [-1.38, -3.24, -0.25], [5.16, -0.74, 4.07], [-5.50, -5.01, -1.94], [4.48, 0.64, 2.16], [-4.81, -0.99, -5.23], [3.02, -0.18, 1.14], [1.56, -0.48, 2.13], [6.27, -0.86, -2.77], [5.31, -0.68, 3.13], [1.58, 0.93, -0.50], [-4.38, 2.75, -1.96], [1.94, -0.70, 6.13], [-0.16, 4.59, 1.01], [1.12, 0.76, 3.82], [3.17, 1.92, 0.10], [-3.56, 2.33, -1.71], [-0.18, 3.62, 0.50], [-2.09, 1.69, 2.67], [-0.31, 2.86, 1.27], [0.09, 3.07, 3.27], [5.24, -0.63, -3.06], [1.35, 2.53, -1.58], [-3.96, 1.18, -3.76], [-1.55, 1.39, 1.76], [1.93, -1.38, 6.88], [-3.06, 0.22, -5.31], [-2.82, 0.04, -3.25], [2.17, 3.29, 0.03], [-2.54, 2.58, -2.20], [0.75, 2.24, -2.33], [-3.51, 0.06, -1.27], [-0.46, 1.42, -4.59], [0.86, 1.21, 1.06], [-0.12, -2.99, 1.03], [5.18, 0.17, -3.80], [3.84, -2.17, 2.87], [-1.82, -2.63, -3.16], [4.78, -1.52, -3.49], [2.28, -4.28, 2.55], [1.14, -1.19, 4.93], [6.06, 0.51, -0.81], [-3.12, -2.50, 0.86], [0.10, -4.21, -0.25], [1.44, 1.91, -2.99], [-3.89, -1.61, -0.45], [-0.51, -4.13, -2.34], [-3.46, 2.34, -0.32], [-1.19, 1.40, -0.31], [-1.85, 1.90, -4.08], [-4.74, -4.28, -1.64], [0.53, 2.55, 2.41], [1.50, 0.10, 6.58], [-0.92, -1.55, -2.79], [-1.88, 2.71, 4.93], [-2.32, -1.63, -0.55], [2.83, 5.37, -0.83], [1.98, -1.99, 3.89], [-1.49, 3.04, 3.11], [4.94, -1.80, -0.58], [2.01, -3.93, -1.11], [-5.24, -2.37, 1.03], [5.22, 0.93, -1.16], [0.15, 1.49, -2.01], [-0.63, 1.18, -5.64], [-0.60, -1.76, -1.86], [-3.75, -1.03, -5.48], [4.17, -1.21, 2.48], [-1.44, -0.70, -2.62], [-2.70, -2.91, -1.17], [1.97, -0.48, 1.12], [-0.12, -0.24, -0.09], [-3.13, 1.84, 2.40], [-3.39, -1.83, -4.83], [2.63, -1.39, 3.25], [4.27, -1.30, 1.39], [0.21, 3.03, -2.66], [1.06, -2.62, 3.00], [-2.19, -1.30, 3.82], [-1.55, 2.64, -0.97], [-4.18, -4.68, -0.80], [-5.48, -3.53, -1.35], [-0.32, -3.23, -0.02], [3.16, 1.84, 2.15], [-2.99, 0.77, -4.04], [-1.80, 3.80, 2.39], [-2.44, -0.58, 3.04], [-4.32, 1.80, 0.08], [-2.08, 3.50, 4.32], [3.66, -3.74, -0.38], [4.10, 1.54, 1.68], [2.25, 5.46, 1.16], [-0.30, 0.45, 4.89], [-3.76, -0.94, 1.17], [1.63, -3.53, 2.09], [-3.57, 3.37, 0.01], [1.07, 0.44, 0.32], [0.48, 4.08, 3.30], [4.45, -0.11, -1.82], [4.02, -1.25, -0.81], [2.73, -3.24, -0.65], [0.81, -4.06, 1.60], [0.28, 2.18, -4.34], [3.55, 0.37, -2.20], [-3.06, 3.34, 4.14], [-2.95, 0.12, 0.71], [-3.04, -2.72, -2.19], [-2.04, -0.84, 2.05], [-2.52, -0.27, -0.49], [2.09, 2.77, 0.99], [-1.70, 2.50, -2.75], [-1.48, 4.47, -0.98], [0.01, -1.42, -0.45], [2.83, 2.32, -0.84], [-0.72, 0.68, -2.13], [2.80, 4.67, 0.24], [4.03, 4.45, 0.69], [0.30, -1.79, 5.29], [-2.39, 3.63, 0.25], [2.22, -2.95, 1.38], [2.32, -2.88, 0.29], [-5.10, -2.71, 1.91], [3.04, -2.09, -1.42], [1.97, -1.54, 0.87], [-0.98, -3.88, -3.30], [-3.51, -0.53, 2.83], [4.88, 2.30, 1.78], [-1.90, 0.63, 3.56], [-1.19, 0.43, -0.81], [-3.67, -1.27, -6.54], [2.56, -2.70, 4.47], [-1.50, 3.56, -0.39], [0.15, -2.23, -0.93], [3.39, -0.46, 2.63], [-1.39, 1.67, -2.26], [-2.18, 2.70, -4.74], [-3.64, -1.81, -2.27], [-0.17, -3.81, -4.02], [-3.96, -1.85, 0.61], [4.84, 1.27, -0.29], [0.45, 0.01, 4.23], [0.87, 3.39, -0.47], [-3.86, -3.80, -2.66]]}
To access this region of the brain in meditation, you place your attention on the center of your head between your ears and the front and back of your skull and with your eyes closed, act as if you are looking straight ahead just above eye level. In hypnosis, this eye position is a primary directive that helps induce a trance-state by activating the imagination through attention that directed inward. The Pineal gland, our ability to form ‘inner visions’, or what some call the ‘mind’s eye’ is the seat of consciousness where we create internal visions by simply clearing our mind, tuning into the energy around us at any given moment, while surrendering our need to control or direct the flow of thoughts and instead allow thoughts to arise as colored images that spontaneously rise up, move, form, and evolve into a variety of shapes before dissipating.
== Misplaced quantum chemistry results ==
+++
Molecular formula: C3H14N2O3
Method: DFT, the ωB97M-V functional and the def2-TZVPD basis

Geometry as ORCA input:
```
! RIJCOSX wB97M-V def2-TZVPD def2/J DEFGRID3
* xyz 0 1
C -0.4233 2.5613 -0.3543
C -0.2709 1.0537 -0.5924
N -0.0093 0.3744 0.6049
C -0.4482 0.3097 -1.6921
N -0.3530 -1.1208 -1.8744
H -1.5751 2.6265 -0.4649
H 0.1143 2.8794 0.6332
H 0.0619 3.3317 -1.0952
H 0.2635 0.7878 1.4068
H 0.0723 -0.5775 0.4708
H -0.9099 0.7661 -2.5225
H 0.7679 -1.3433 -1.9315
H -0.8163 -1.3623 -2.7556
O 0.0397 -2.6387 0.7395
H -0.4124 -2.8787 -0.2144
H 0.5515 -3.3797 1.0486
O 3.0401 0.5013 -0.0797
H 3.2034 -0.4683 0.0579
H 2.0612 0.4578 -0.1882
O -1.9595 -0.1502 2.4837
+++
== Back to the entry ==
The Pineal gland as part of the Endocrine system of the body, acts in a synchronized fashion with the pituitary and thalamus glands to regulate the other glands. The Endocrine glands are the ductless glands that secrete hormones directly into your system via the blood stream, that act to naturally regulate processes and your state of mind. Hormones are chemical messengers that saturate your body and are experienced as feeling- emotions and physical sensations that alter your mood according to your environment or in response to your own thoughts. Effects produced with the Pineal gland literally regulate, alter and shift the chemistry of your entire body forming a series of natural correspondences. In transformative psychology various forms of mind control through practices such as meditation, hypnosis and prayer, serve to literally transform the physical body by way of this specialized use of the mind. Masterful use of the imagination and its natural ability to guide energetic biological processes while simultaneously shifting the state of the body as a unification to the reality created in the imagination, is a key component to all Magical Arts.
The Pineal gland, popular in all mystical traditions, is considered the gateway through which our soul as our energetic essence enters and leaves our body. It is directly associated with birth, expression, transformation and death. It is evolutionary by its very nature. It is considered the biological basis for mystical states of what’s called ‘bliss’ and the experience of transcendence. Bliss describes a euphoric state that occurs when the sexual energy of the body has been activated and used to expand, enliven and excite the rest of the chakras (energy centers of the body). When the sexual energy, first stimulated in response to our thoughts, is allowed to build, then consciously pulled up into the other chakras and eventually into the thought process itself, it serves to greatly enhance the emotional quality of the thoughts by filling them with sensations of excitement, expansion and an energetic quality of rushing while seeming motionless. The thoughts become prismatic dancing light forms that hypnotize the mind with their intoxicating beauty that create a feeling of wonder and awe. They entertain us, and we simply observe them while in a passive state. The feeling it gives us is experienced as extreme pleasure that begins expanding and filling us to the point of exploding, much like the experience of a sexual orgasm.
It is the chemistry of consciousness that spontaneously produces a corresponding physical experience through resonance as atonement. It is also what creates the supposed hallucination associated with the ‘near death experience’. This is because, when fully stimulated and active, the Pineal gland secretes a chemical called DMT which is a natural hallucinogenic. This may be because in order to transcend this fourth dimensional reality, we have to literally change the chemistry of our body in order to perceive higher realms of existence. The pineal, which also regulates all rhythms and cycles of the body, is stimulated to secrete DMT through “darkness”, and is what is also considered to be the means of our dreams while sleeping. When we close our eyes, shutting out all light and turn our attention inward, we activate the secretion of DMT and begin forming inner visions that are common to meditation and hypnosis. These inner visions are compared to “hallucinations” because they are primarily formed of “light images” that are prismatic and intense, and take on shapes that are considered “other worldly”. When you stay with the visions and continue moving into them, they evolve into a form of lucid dreaming that’s very dynamic and emotionally intense in nature. While we associate this “dreaming state” to a hallucinogenic effect, the fact of the matter may be that it’s also what produces what we call our “waking reality” that we consider “real”, and therefore not a dream.
Someone pasted records of molecules at this point.
- - -
1.
Formula: C13H15N5O4PtS
Source: the Open Molecules 2025 dataset
Level of theory: ωB97M-V/def2-TZVPD

Geometry (Å):
Pt: 1.55 -0.25 0.86
N: 3.43 0.07 1.90
C: 3.98 1.44 2.16
C: 4.16 2.24 0.87
C: 2.83 2.66 0.29
O: 2.77 3.95 0.18
O: 1.91 1.92 -0.02
H: 3.32 -0.39 2.80
H: 4.14 -0.47 1.41
H: 4.94 1.35 2.65
H: 3.30 1.95 2.83
H: 4.67 1.64 0.10
H: 4.80 3.10 1.06
N: -4.55 2.33 -3.51
C: -3.79 1.76 -2.59
C: -2.81 2.54 -1.90
C: -2.03 1.94 -0.94
C: -2.22 0.58 -0.66
C: -3.17 -0.20 -1.34
C: -3.95 0.37 -2.30
S: -1.29 -0.22 0.62
O: -0.51 0.82 1.31
O: -2.22 -1.00 1.36
N: -0.14 -1.05 -0.13
C: -0.03 -2.41 0.22
N: 1.06 -2.61 0.98
C: 1.29 -3.85 1.41
C: 0.43 -4.88 1.07
C: -0.66 -4.56 0.27
N: -0.89 -3.32 -0.16
H: -4.47 3.32 -3.73
H: -5.26 1.81 -4.01
H: -2.70 3.59 -2.13
H: -1.29 2.51 -0.39
H: -3.28 -1.25 -1.09
H: -4.69 -0.21 -2.84
H: 2.16 -4.02 2.02
H: 0.60 -5.89 1.41
H: -1.38 -5.31 -0.03

Calculated values
2S+1 = 5
HOMO level (spin up / spin down) = -14.41 / -15.15 eV
energy relative to the best compared isomer or geometry (same formula, charge and spin) = 0.0 kcal per mole
total charge = +2
LUMO level (spin up / spin down) = -0.2071 / -0.3409 Eh

2.
Formula: C13H15NO4
Source: the Open Molecules 2025 dataset
Level of theory: ωB97M-V/def2-TZVPD

Geometry (Å):
O: 2.63 0.39 0.43
C: 2.95 0.06 -0.69
O: 2.88 -1.18 -1.15
C: 3.54 1.03 -1.71
O: 3.21 0.77 -3.05
C: 1.89 1.11 -3.42
C: 0.83 0.22 -2.76
O: 0.46 -0.81 -3.27
N: 0.39 0.71 -1.57
C: -0.46 0.10 -0.63
C: -1.06 -1.13 -0.84
C: -1.88 -1.68 0.14
C: -2.09 -1.00 1.32
C: -1.47 0.23 1.53
C: -0.66 0.79 0.57
C: -1.85 0.78 2.88
C: -2.42 -0.45 3.61
C: -2.93 -1.38 2.50
H: 2.49 -1.78 -0.50
H: 3.28 2.06 -1.41
H: 4.63 0.92 -1.66
H: 1.85 0.94 -4.50
H: 1.69 2.18 -3.21
H: 0.76 1.60 -1.26
H: -0.89 -1.65 -1.76
H: -2.35 -2.64 -0.04
H: -0.18 1.74 0.74
H: -1.00 1.22 3.40
H: -2.61 1.55 2.76
H: -3.20 -0.18 4.32
H: -1.61 -0.94 4.16
H: -2.83 -2.43 2.77
H: -3.98 -1.18 2.28

Calculated values
HOMO level = -8.33 eV
energy relative to the best compared isomer or geometry (same formula, charge and spin) = 9.3 kcal per mole
SMILES string = O=C(O)COCC(=O)Nc1ccc2c(c1)CCC2
LUMO level = 0.0249 Eh

3.
Formula: C13H16AuBrGeNS5
Source: the Open Molecules 2025 dataset
Level of theory: ωB97M-V/def2-TZVPD

Geometry (Å):
Au: -0.09 0.40 0.91
S: 1.69 5.25 6.09
C: 1.32 4.11 4.96
S: 2.22 3.83 3.52
C: 1.26 2.51 2.86
C: 0.19 2.15 3.60
S: -0.93 0.86 3.29
S: -0.06 3.07 5.07
S: 1.78 1.84 1.35
C: 4.60 1.63 -2.96
C: 3.42 0.70 -2.93
C: 3.16 -0.19 -3.96
C: 2.07 -1.05 -3.88
C: 1.28 -0.96 -2.75
Br: -0.20 -2.14 -2.58
N: 1.49 -0.12 -1.77
C: 2.53 0.70 -1.86
H: 5.19 1.48 -3.86
H: 5.24 1.46 -2.09
H: 4.28 2.67 -2.93
H: 3.82 -0.23 -4.83
H: 1.85 -1.76 -4.66
H: 2.67 1.39 -1.03
C: -3.22 0.16 -2.25
Ge: -3.27 0.04 -0.27
C: -3.44 1.89 0.40
C: -4.93 -0.94 0.24
C: -1.69 -0.74 0.45
H: -4.09 0.70 -2.62
H: -3.19 -0.83 -2.71
H: -2.32 0.70 -2.56
H: -4.30 2.41 -0.02
H: -2.54 2.46 0.15
H: -3.53 1.88 1.49
H: -5.80 -0.44 -0.18
H: -5.02 -0.96 1.32
H: -4.91 -1.97 -0.13
H: -1.61 -1.82 0.57

Calculated values
- - -
Our body in its current state is only capable of perceiving reality based on what is naturally stimulated and habitually used in our day-to-day experience by how we have been trained to use our mind. Many people, even with what we would consider a high level of mastery in learning to become awake in their lives and use their minds in a neutral manner to form higher perceptions, when having to ‘come down’ and function in a normal day-to-day situations, greatly limit their ability to perfect this aspect of their mind. This is largely due to the fact that in order to perceive higher realms of existence, we must retrain our mind to fundamental paradigms that do not apply in other realms. Planes of existence all operate within specialized Laws that are only applicable and functional within that plane. Very few people have achieved mastery of their own mind in our current dimension and fail, for the most part, to even be able to grasp or conceive of higher realms or different dimensions. While many of us do have experiences of altered states that are moving between planes, most don’t really understand what’s happening and so attribute it to other things and never actually identify it for what it is. Because consciousness is about awareness, this feeling of confusion and no clear definitions of what alternate realities feel like when we experience them, leads to a fundamental form of ignorance around mystical practices.
The Pineal gland naturally calcifies with age and by consuming the neurotoxin fluoride. Fluoride deposits and accumulates in the region of the brain around and in the Pineal gland making it dysfunctional. Other chemical food additives (MSG, aspartame, etc.) as well as heavy metals and mercury are known to cause neurological damage by targeting the hippocampus and hypothalamus, causing depression, memory loss, and the inability to concentrate. Because the Pineal also produces serotonin which regulates cycles, and works in conjunction with the thalamus and hypothalamus to regulate our ‘desire’ for areas such as thirst, hunger, sleep, sex, and other desires that produce the drives that motivate human behavior as a means of self-fulfillment, this can create a lackluster life of poor motivation, boredom and low grade chronic depression due to feeling unfulfilled in the most basic sense. The calcification of the pineal, which also acts as a form of “antenna” for receiving communication from higher, purely energetic realms, not only cuts us off from our higher source of consciousness, but cause insomnia, and reduced “dream sleep” which ultimately causes psychological problems and mental / emotional weakness.
While Pineal gland is a natural part of the human body and functions naturally to a certain extent, like all areas of the mind, we must learn about it and practice using it to not only activate, develop and strengthen it, but also to learn how to use it intentionally and with great precision. As with all mind development, it begins by creating a natural state of relaxation and with the daily practice of meditation that is designed to master particular areas such as allowing thoughts to flow unimpeded, emptying the mind and creating a void to allow for the transmission of thoughts as energy, as well as concentrating on a single idea without distraction for extended periods of time. All meditation is ultimately a form of concentration that forms a “single-mindedness” where we form union with a higher source and expand into an energy field of pure potential that is greater than ourselves, losing all sense of ourselves, and therefore all sense of being “separate”. Mind development requires patience and commitment because we only learn by doing. All spiritual knowledge is received through direct experience as a form of union and transmission. All development of any kind comes only by way of daily practice.
Personal Transformation Coach and spiritual mentor